The mummy had an undigested piece of woolly rhino in its stomach.

Just before a tiny pup died during the last ice age, it ate a piece of meat from one of Earth’s last woolly rhinos.
Researchers made this discovery while doing a necropsy (an animal autopsy) on the mummified remains of the ice age puppy. After finding an undigested slab of skin with yellow fur in the puppy’s stomach, researchers initially thought the puppy had chewed off a hunk of cave lion meat for its last meal.
### Inserted here: data records
/*
Record 1
{"formula": "C4H7BaO3", "method": "ωB97M-V/def2-TZVPD", "species": ["H", "O", "C", "C", "O", "C", "C", "O", "Ba", "H", "H", "H", "H", "H", "H"], "xyz": [[0.16, 4.80, -0.41], [2.16, 0.92, -0.54], [2.13, -0.20, -0.08], [0.83, -0.70, 0.54], [0.21, -1.58, -0.27], [-1.16, -1.28, -0.56], [-1.51, -0.13, 0.37], [-0.26, 0.53, 0.55], [0.59, 2.79, -0.26], [2.95, -0.92, -0.23], [0.99, -1.06, 1.57], [-1.74, -2.19, -0.37], [-1.24, -1.01, -1.62], [-1.82, -0.49, 1.36], [-2.29, 0.52, -0.05]], "spin_multiplicity": 1, "homo_energy_ev": -10.400, "charge": 1, "orbital_gap_ev": 5.779}



Record 2
*/
### So much for the data records
But a DNA analysis of the slab revealed that it wasn’t a cave lion (Panthera spelaea), but a woolly rhinoceros (Coelodonta antiquitatis), which went extinct around 14,000 years ago, right about the time that this pup had its last meal.
That means this puppy ate one of the last woolly rhinos to ever exist, said Edana Lord, a doctoral student at the Centre for Palaeogenetics in Sweden, a joint venture between Stockholm University and the Swedish Museum of Natural History. Lord co-authored a study published Aug. 13 in the journal Current Biology on the extinction of the woolly rhinos.
The mummified puppy was discovered in Tumat, a rural locality in northeastern Siberia, in 2011. An analysis revealed that the puppy was likely between 3 and 9 months old when it died, but it’s unclear whether the pup was a dog or a wolf, Lord noted, a mystery that also surrounds an 18,000-year-old puppy found in Siberia in 2018, Live Science previously reported.
“I think it falls around that critical point for the dog/wolf domestication,” she told Live Science, adding that a research team in Copenhagen is trying to decipher whether the Tumat pup was domesticated or not.
Radiocarbon dating revealed that the Tumat puppy lived about 14,000 years ago. Researchers also radiocarbon dated the woolly rhino slab, to rule out the possibility that the rhino hadn’t died earlier and been preserved in Siberia’s permafrost, only to be discovered by the puppy at a later date. It’s possible “that this puppy may have been one of a scavenging pack, and that the wolves either took down the rhino, or were looking for food and came across a rhino carcass,” Lord noted.
If the puppy was domesticated, it’s possible that it was living with humans, who may have shared the rhino meal with the pup, she said. Soon after the puppy ate the woolly rhino, it died, although it’s anyone’s guess how. The researchers were able to rule out one scenario, though; “It doesn’t look like it’s been squashed,” before it was preserved as a mummy in the cold permafrost, Lord said.
Despite this “rhino dinner,” predators probably didn’t cause the extinction of the woolly rhino, according to Lord’s new research. Instead, the culprit was the rapidly warming climate at the end of the last ice age, she and her colleagues found. When the team sequenced a woolly rhinoceros nuclear genome and 14 mitochondrial genomes (DNA passed down the maternal line) — including the specimen found in the pup’s belly — they found that the woolly rhino population was stable and diverse up until a few thousands years before the herbivores went extinct. This genetic diversity indicates that there wasn’t inbreeding, a problem that plagued the dwarf woolly mammoths on Wrangel Island off the northern coast of Russia about 4,000 years ago.
Because of the genetic diversity, as well as “the association of the extinction with the Bølling-Allerød interstadial, a very abrupt warming period [about 14,700 to 12,900 years ago], we suggest that the woolly rhinoceros went extinct due to climate change,” Lord said.
**What comes next are quantum chemistry results, not part of the piece**
********
C35H63ClF9N12O24P2S | the ωB97M-V functional and the def2-TZVPD basis

Last column: Löwdin charge in e.
Atoms and positions in Å:
C1 1.37756 5.41525 0.26513  0.108
C2 1.19960 4.83845 1.61287  -0.134
N1 1.69562 3.51184 2.20205  -0.122
C3 2.71374 3.92204 3.25460  -0.141
F1 3.92940 3.01045 3.33994  -0.014
F2 2.26348 3.69480 4.68183  0.045
C4 3.40196 5.36521 3.24488  -0.072
F3 4.62901 5.22314 4.14547  0.018
F4 4.08449 5.80596 1.97021  -0.004
C5 2.71430 6.65989 3.93277  -0.138
F5 2.44779 7.64643 2.81820  0.019
F6 1.44771 6.49025 4.64243  0.067
F7 3.62960 7.41341 4.87110  0.054
C6 0.40810 2.88330 2.77429  -0.217
S1 -0.80363 3.80221 3.74699  0.932
O1 -1.96796 2.79494 4.14706  -0.286
O2 -1.58573 4.99627 3.15401  -0.285
F8 -0.38607 4.34739 5.35671  -0.228
C7 -0.49602 2.04852 1.65538  -0.177
C8 -1.57163 2.92161 0.79852  -0.130
O3 -2.96814 2.87826 1.30648  -0.178
C9 -3.81418 1.96759 0.53061  -0.136
C10 -4.16546 0.47919 1.20250  0.029
C11 -5.11728 -0.65878 0.50778  -0.179
C12 -5.46160 -2.13942 1.17094  -0.103
C13 -5.79676 -0.33325 -0.94849  -0.004
C14 -5.48459 1.14865 -1.65789  0.007
C15 -4.50813 2.30005 -0.93827  -0.050
C16 -4.26963 3.78433 -1.67124  -0.347
C17 -4.86327 4.94995 -0.62901  -0.110
C18 -5.20309 3.95322 -3.04780  -0.128
N2 0.27443 1.19681 0.70167  -0.212
C19 -0.43337 0.12157 0.01107  -0.150
C20 -0.08271 -1.31083 0.80325  -0.115
C21 0.98366 -2.25523 -0.01278  -0.097
F9 0.35002 -3.62406 -0.09444  -0.177
C22 1.19124 2.08943 -0.04261  -0.353
N3 2.02713 1.21905 -0.96719  0.014
C23 1.83746 1.46773 -2.28732  -0.252
C24 3.22833 1.47347 -3.22116  -0.058
C25 0.45222 1.69339 -3.12086  -0.042
C26 2.26175 2.56132 1.15478  -0.684
Cl1 2.65485 0.81332 1.77840  0.790
P1 3.82048 3.11451 0.22149  0.886
P2 5.35385 1.50017 0.18465  0.524
O4 4.87004 0.19065 -0.54590  -0.391
O5 6.65222 2.16567 -0.82959  -0.247
O6 6.07944 1.24248 1.75614  -0.242
H1 0.50254 5.36216 -0.51409  0.117
H2 2.38770 5.93594 -0.09499  0.117
H3 0.73770 5.67634 2.33115  0.167
H4 0.80427 2.00621 3.48679  0.187
H5 -1.14342 1.25496 2.27484  0.188
H6 -1.66079 2.58632 -0.34526  0.143
H7 -1.32017 4.08707 0.72602  0.133
H8 -3.66665 0.24876 2.25940  0.102
H9 -6.64779 -2.24412 1.11746  0.094
H10 -5.07673 -2.15045 2.27643  0.080
H11 -5.03473 -3.03907 0.51291  0.071
H12 -6.51394 -1.14398 -1.44857  0.070
H13 -6.01429 1.30924 -2.70342  0.085
H14 -3.13190 3.92619 -1.90451  0.112
H15 -4.68403 6.02930 -1.10622  0.089
H16 -6.02838 4.71878 -0.54295  0.103
H17 -4.38038 4.89999 0.43560  0.072
H18 -4.84427 3.27244 -3.92990  0.084
H19 -5.26749 5.09857 -3.30787  0.083
H20 -6.30312 3.64488 -2.70299  0.090
H21 -0.23019 -0.09190 -1.11299  0.112
H22 -1.61853 0.22176 0.11475  0.126
H23 -1.09698 -1.87984 1.01040  0.132
H24 0.30902 -0.97174 1.87811  0.066
H25 1.99107 -2.41324 0.59854  0.106
H26 1.22681 -1.88978 -1.09821  0.124
H27 0.75876 2.94518 -0.67784  0.125
H28 4.17054 1.83984 -2.62910  0.042
H29 3.08270 2.01186 -4.24964  0.053
H30 3.43558 0.32545 -3.47596  0.128
H31 -0.02626 2.70888 -2.73295  0.086
********
The DNA analyses also revealed that the woolly rhinoceros had genetic mutations that helped it adapt to cold weather. One such mutation made the woolly creature less sensitive to feeling the cold, “which means that they would have been able to survive better in the more extreme cold,” Lord said. “Because of these genomic adaptations to Arctic climate, they probably weren’t well adapted to deal with the warming climate.”
**These quantum chemistry results were left in the piece by mistake**
=====
{
  "formula": "C36H54BN9OPtS3Si2",
  "method": "wB97M-V/def2-TZVPD",
  "symbols": ["Pt", "C", "C", "C", "C", "N", "C", "C", "N", "B", "N", "C", "C", "N", "C", "S", "C", "C", "C", "C", "N", "C", "C", "N", "C", "S", "C", "C", "C", "C", "C", "S", "H", "H", "H", "H", "H", "H", "H", "H", "H", "H", "H", "H", "H", "H", "H", "H", "H", "H", "H", "H", "H", "H", "H", "H", "H", "H", "H", "H", "H", "H", "H", "H", "H", "H", "C", "Si", "C", "C", "C", "C", "C", "C", "C", "H", "H", "H", "H", "H", "H", "H", "H", "H", "H", "H", "N", "C", "C", "C", "N", "C", "N", "C", "Si", "C", "C", "O", "H", "H", "H", "H", "H", "H", "H", "H", "H"],
  "positions_angstrom": [[0.05, 0.39, -0.33], [1.19, 1.64, 3.72], [2.04, 0.38, 3.84], [2.49, 0.22, 5.30], [3.25, 0.50, 2.91], [1.31, -0.83, 3.42], [1.85, -2.07, 3.64], [1.07, -2.98, 3.02], [0.04, -2.32, 2.40], [-0.99, -3.10, 1.59], [-0.49, -3.45, 0.16], [-1.09, -4.47, -0.51], [-0.50, -4.59, -1.73], [0.48, -3.64, -1.81], [0.46, -2.93, -0.64], [1.50, -1.64, -0.24], [1.38, -3.46, -2.95], [1.06, -4.49, -4.04], [2.82, -3.66, -2.48], [1.18, -2.07, -3.54], [-2.36, -2.40, 1.47], [-3.32, -2.61, 2.42], [-4.47, -2.04, 1.99], [-4.22, -1.46, 0.77], [-2.91, -1.67, 0.48], [-2.10, -1.10, -0.90], [-5.25, -0.91, -0.12], [-4.87, 0.50, -0.57], [-6.60, -0.84, 0.61], [-5.37, -1.85, -1.32], [0.21, -1.00, 2.65], [-0.89, 0.17, 2.11], [1.75, 2.49, 4.10], [0.26, 1.55, 4.29], [0.95, 1.85, 2.68], [2.85, 1.17, 5.67], [3.30, -0.50, 5.40], [1.66, -0.09, 5.93], [3.85, 1.36, 3.19], [2.93, 0.63, 1.88], [3.87, -0.39, 2.97], [2.74, -2.22, 4.21], [1.16, -4.04, 2.96], [-1.16, -4.13, 2.15], [-1.90, -5.03, -0.09], [-0.72, -5.28, -2.51], [1.20, -5.51, -3.67], [1.74, -4.34, -4.87], [0.05, -4.37, -4.41], [2.95, -4.65, -2.06], [3.08, -2.92, -1.72], [3.50, -3.53, -3.32], [0.14, -1.93, -3.84], [1.81, -1.93, -4.41], [1.43, -1.30, -2.81], [-3.12, -3.15, 3.32], [-5.42, -2.00, 2.48], [-4.67, 1.14, 0.29], [-5.69, 0.93, -1.15], [-4.00, 0.47, -1.21], [-6.54, -0.21, 1.49], [-6.96, -1.83, 0.88], [-7.33, -0.40, -0.07], [-4.41, -1.95, -1.83], [-6.08, -1.45, -2.04], [-5.70, -2.84, -1.00], [-2.20, 2.93, -0.52], [-0.27, 2.83, -0.34], [0.55, 3.68, -1.86], [0.23, 3.98, 1.11], [-0.70, 4.81, 1.73], [-0.30, 5.77, 2.64], [1.04, 5.92, 2.95], [1.97, 5.09, 2.37], [1.57, 4.13, 1.46], [-2.49, 3.95, -0.72], [-2.69, 2.60, 0.39], [-2.56, 2.31, -1.34], [-0.09, 4.47, -2.24], [0.74, 3.00, -2.68], [1.49, 4.12, -1.57], [-1.75, 4.72, 1.48], [-1.04, 6.42, 3.09], [1.35, 6.68, 3.65], [3.02, 5.20, 2.60], [2.29, 3.47, 1.01], [-0.09, 0.44, -2.55], [-0.93, 0.78, -3.29], [-1.91, 1.16, -4.17], [-1.62, 2.00, -5.24], [-1.38, 2.68, -6.14], [-3.18, 0.60, -4.02], [-4.22, 0.13, -3.88], [4.88, -0.11, -0.49], [3.61, 1.27, -0.97], [3.42, 1.14, -2.88], [4.60, 2.91, -0.71], [2.30, 1.21, -0.12], [5.62, -0.25, -1.26], [4.35, -1.04, -0.34], [5.40, 0.13, 0.43], [4.34, 1.40, -3.39], [2.64, 1.81, -3.23], [3.15, 0.13, -3.16], [5.56, 2.82, -1.21], [4.79, 3.11, 0.34], [4.07, 3.75, -1.13]],
=====
Moreover, the the rhinos were accustomed to foraging in the dry grasslands, but the warming climate during the Bølling-Allerød interstadial changed their environment to a snowy, “wooded shrubby habitat,” which didn’t provide the “favorite food of the rhinos,” Lord said.
Puppies, on the other hand, will eat nearly anything, from woolly rhinos to shoes, which might explain their adaptability.